Car Accidents – The Largest Personal Injury Category in USA

Car accidents are a common event in our society. In fact, they are the most common personal injury that is claimed in the United States. Car accidents are a result of someone not following the rules of the road or not paying attention like they should be. Many people are distracted while they drive from things like the radio, smart phones, and passengers. Car accidents are not all equal as some cause severe injuries while others leave the victims unscathed.

If you are a victim of a motor vehicle crash and the other vehicle was at fault, most of the time the insurance companies will take care of everything for you if you file a claim through them. However, if you were in an accident with a company’s vehicle and driver, then you may want to make sure the claim is filed properly and followed through. Large trucking companies tend to have legal departments that prepare for situations where their drivers are involved in an accident on the roads. They will assess and prepare a solid defense in order to save the company lots of money in law suits. If you are involved in an accident with a company like this, be smart and hire a personal injury lawyer to handle your claim and negotiating for you. Many lawyers who specialize in motor vehicle crashes know exactly what to do in situations like this and they will get you amazing results that save you time, hassle, and get you the compensation that should be appropriated to you efficiently.

What comes next are data records, not part of the text:
/*
Entry 1:
A molecular structure, C18H39I2N4O8S2, computed with ωB97M-V/def2-TZVPD.

Output
Charge: -1
Orbital gap: 8.17 eV

Each line ends with the Mulliken charge.
CARTESIAN COORDINATES (ANGSTROEM)
O1 5.26475 -1.73478 -1.72472  -0.583
S1 5.59620 -0.45228 -1.14944  0.807
H1 0.35813 4.82091 -0.45601  0.277
I1 2.16680 -0.34179 -2.52615  0.061
O2 -0.55812 2.96881 -0.24391  -0.442
N1 0.35827 3.50745 2.68311  -0.303
H2 -1.56348 7.31267 2.71471  0.242
C1 1.51403 4.38984 2.65243  -0.181
H3 1.38546 1.74448 2.22176  0.473
N2 -5.37611 -2.15864 -2.43753  -0.313
H4 0.75866 -2.80554 -2.56929  0.433
H5 -3.63228 -2.04400 -3.54234  0.387
H6 -0.53932 -2.44528 -1.37723  0.364
H7 1.48724 3.06205 0.07683  0.309
H8 9.66804 -2.54167 0.47097  0.312
O3 4.08208 -1.96558 1.09472  -0.605
H9 -8.31328 -2.90892 -0.94955  0.385
H10 8.15477 -2.60599 1.40390  0.329
H11 7.36124 0.20892 0.29799  0.320
H12 0.86270 5.48824 4.38249  0.418
C2 1.44551 -2.44249 -0.56719  0.486
C3 -6.52776 -0.80259 0.52484  -0.737
H13 -7.06474 -3.24988 -2.98209  0.374
C4 -3.35168 -3.53015 -0.24056  -0.683
H14 2.14614 6.27259 3.44364  0.387
C5 0.41763 -2.93986 -1.54299  -1.445
I2 1.32794 -3.46716 1.26525  0.019
S2 3.43632 -0.82579 0.49068  1.053
C6 -0.63246 4.37194 -0.33442  -0.588
H15 -6.10951 -0.81476 1.52932  0.248
C7 6.93509 -0.75036 0.00224  -0.575
H16 -7.45152 -0.21476 0.53524  0.344
C8 0.51025 2.29326 1.87560  -0.839
H17 -4.81369 -3.19144 -4.15538  0.414
H18 0.26210 -4.00625 -1.37954  0.395
C9 -7.41429 -2.30326 -1.10053  -0.799
H19 -2.56368 -3.71163 0.49086  0.266
N3 8.48438 -1.61375 -1.72229  -0.800
H20 -4.20744 -4.77456 -2.27991  0.319
C10 -6.49956 -3.00869 -2.07629  -0.215
H21 -6.18855 -3.95666 -1.61344  0.195
C11 8.58803 -2.68844 0.40905  -1.162
N4 4.46106 0.15553 -0.20979  -0.450
H22 -4.95110 -1.80224 -1.59058  0.102
H23 8.39349 -3.68711 0.01593  0.250
O4 -2.74589 -3.53091 -1.51923  -0.293
H24 -7.72008 -1.33224 -1.50141  0.407
H25 8.01212 -0.89465 -2.27054  0.363
O5 -6.77899 -2.14503 0.16034  -0.352
C12 2.28995 -1.44779 -0.75962  -0.489
C13 -4.34807 -2.81159 -3.23959  -0.787
C14 8.01509 -1.66498 -0.54838  0.705
H26 6.46865 -1.20570 0.87643  0.319
O6 0.27307 6.47196 2.65269  -0.354
H27 -5.81233 -0.31903 -0.14845  0.318
H28 -2.88162 -4.34446 -3.35350  0.376
H29 0.78330 1.46279 -0.05138  -0.028
C15 -3.56055 -3.94542 -2.59453  -0.505
H30 1.83850 4.63517 1.63094  0.189
C16 -0.95439 6.64471 3.32239  -0.736
O7 6.06698 0.57641 -2.05008  -0.653
H31 -0.45052 4.02179 2.35720  0.168
O8 2.56950 -0.03008 1.32937  -0.485
H32 -0.35785 1.65987 2.07574  0.316
H33 -1.49062 5.69794 3.45170  0.308
C17 0.62232 2.45569 0.36944  0.033
H34 2.34957 3.89100 3.15149  0.357
H35 -1.11418 4.82497 0.53982  0.191
H36 -4.10505 -4.31873 -0.15390  0.323
H37 -1.23425 4.61692 -1.21178  0.282
C18 1.22419 5.68802 3.36900  -0.810
H38 -3.81545 -2.56815 -0.00292  0.237
H39 -0.81115 7.10117 4.30838  0.349

Entry 2:
A molecular structure, C18H39I3N4OPS at a distorted geometry, computed with ωB97M-V/def2-TZVPD.

Output
Charge: +1
*/

Personal Injury

To learn more about car accidents, visit Since car accidents are so prevalent in our society, personal injury lawyers are able to make a good living in this particular type of personal injury. If you are injured in a motor vehicle crash, you should speak with a lawyer that specializes in motor vehicle crashes.

nashville personal injury lawyer

Are You Feeling Overwhelmed?

Are you feeling overwhelmed? Were you recently injured and deserve to be compensated because the person who hurt you was negligent or lazy? If you were hurt and your injury put you out of work for a few days or the cost of your medical bills exceed $2000, you should hire a personal injury lawyer. Many people file the suit by themselves and regret it later when they realize how undercompensated they were. This is often a result of how well prepared the company they sued were for the case. If your injury was a result of a large company, that company will have people that specialize in claims. They will immediately begin working on building a defense for any claims in case they are sued. Hiring a personal injury lawyer will level the playing field and put you past this barrier to justice.

nashville personal injury lawyer

There are so many things to address in personal injury claims and most people don’t know how to start. It’s no wonder so many people feel overwhelmed with personal injury, especially if they decide not to hire a personal injury lawyer. A case will take up a lot of time that you probably do not have, so bringing in a personal injury lawyer is a great way to not only get proper compensation, but also relieve the stress and overwhelming feelings that the case will impose.


If you live in a thriving city like Nashville, you have several options to pick from. A good Nashville personal injury lawyer or law firm is worth its weight in gold. You will immediately be explained your options and how to proceed, plus the lawyer will handle most of it for you. You will simply have to answer several questions that the lawyer will ask you relating to your case. This is so the lawyer can get the whole picture and begin to build the defense. The Nashville personal injury lawyer will also look at all of your medical records to make sure you have a strong case before committing. Being informed about this is essential. It will help take away the overwhelming feeling and fear of not being reimbursed for any medical bills you have incurred from your injury.

To learn more, visit and get started on your path to justice.